To do:
Now work out how many lines underneath have the word "data_AlFe2As" in them; a number is enough.

Excerpt:
<<<
Entry 1:
Diffraction record for AlFe2As. The powder diffractogram is simulated, not measured: it uses DFT lattice parameters and positions (PBE) and CuKα.
Kinematic intensities with the Lorentz-polarization factor, no thermal factor.

Principal peaks in the range 10 to 80 degrees two-theta, low angle first:
2θ = 15.41°, rel. 12, (1 0 0)
2θ = 26.86°, rel. 3, (1 1 1)
2θ = 34.90°, rel. 4, (2 1 0)
2θ = 44.58°, rel. 100, (2 2 0)
2θ = 47.45°, rel. 3, (2 2 1)
2θ = 52.82°, rel. 2, (3 1 1)
2θ = 57.84°, rel. 2, (3 2 0)
2θ = 64.89°, rel. 15, (4 0 0)
2θ = 67.14°, rel. 1, (4 1 0)
2θ = 75.84°, rel. 1, (4 2 1)

Structural model:
```
data_AlFe2As
_cell_length_a 5.748
_cell_length_b 5.748
_cell_length_c 5.748
_cell_angle_alpha 90.00
_cell_angle_beta 90.00
_cell_angle_gamma 90.00
_symmetry_space_group_name_H-M 'P m -3 m'
_symmetry_Int_Tables_number 221
_symmetry_space_group_name_Hall '-P 4 2 3'
loop_
_atom_site_label
_atom_site_type_symbol
_atom_site_fract_x
_atom_site_fract_y
_atom_site_fract_z
Al1 Al 0.000 0.000 0.000
Al2 Al 0.000 0.000 0.500
Fe1 Fe 0.255 0.255 0.255
As1 As 0.000 0.500 0.500
As2 As 0.500 0.500 0.500
```



Entry 2:
Diffraction record for Cs3Zr2P5S18. The powder diffractogram is simulated, not measured: it uses DFT lattice parameters and positions (PBE) and CuKα.
Kinematic intensities with the Lorentz-polarization factor, no thermal factor.

Principal peaks in the range 10 to 80 degrees two-theta, low angle first:
2θ = 15.99°, rel. 36, (1 1 -4)
2θ = 17.68°, rel. 95, (0 2 1)
2θ = 18.75°, rel. 100, (2 0 0)
2θ = 19.58°, rel. 34, (1 1 -6)
2θ = 20.72°, rel. 50, (2 0 -4)
2θ = 25.34°, rel. 33, (2 0 6)
2θ = 26.03°, rel. 100, (0 0 10)
2θ = 30.66°, rel. 50, (1 3 -5)
2θ = 30.98°, rel. 35, (2 0 -10)
2θ = 31.29°, rel. 41, (3 1 3)

Structural model:
```
data_Cs3Zr2P5S18
_cell_length_a 9.500
_cell_length_b 10.141
_cell_length_c 34.343
_cell_angle_alpha 90.00
_cell_angle_beta 94.61
_cell_angle_gamma 90.00
_symmetry_space_group_name_H-M 'C 1 c 1'
_symmetry_Int_Tables_number 9
loop_
_symmetry_equiv_pos_as_xyz
'x,y,z'
'x,-y,z+1/2'
'x+1/2,y+1/2,z'
'x+1/2,-y+1/2,z+1/2'
loop_
_atom_site_label
_atom_site_type_symbol
_atom_site_fract_x
_atom_site_fract_y
_atom_site_fract_z
Cs1 Cs 0.000 0.094 0.000
Cs2 Cs 0.008 0.391 0.205
Cs3 Cs 0.420 0.138 0.892
Zr1 Zr 0.058 0.087 0.792
Zr2 Zr 0.452 0.293 0.100
P1 P 0.025 0.246 0.875
P2 P 0.033 0.148 0.695
P3 P 0.091 0.280 0.517
P4 P 0.160 0.467 0.081
P5 P 0.237 0.187 0.311
S1 S 0.023 0.176 0.306
S2 S 0.029 0.047 0.866
S3 S 0.101 0.319 0.926
S4 S 0.112 0.316 0.826
S5 S 0.130 0.490 0.520
S6 S 0.144 0.253 0.739
S7 S 0.151 0.110 0.649
S8 S 0.159 0.228 0.466
S9 S 0.164 0.268 0.087
S10 S 0.187 0.188 0.565
S11 S 0.292 0.349 0.280
S12 S 0.301 0.201 0.372
S13 S 0.313 0.012 0.291
S14 S 0.356 0.466 0.601
S15 S 0.362 0.250 0.171
S16 S 0.382 0.246 0.026
S17 S 0.477 0.480 0.724
S18 S 0.498 0.038 0.111
```



Entry 3:
Diffraction record for RbPrSO. The powder diffractogram is simulated, not measured: it uses DFT lattice parameters and positions (PBE) and CuKα.
Kinematic intensities with the Lorentz-polarization factor, no thermal factor.

Principal peaks in the range 10 to 80 degrees two-theta, low angle first:
2θ = 11.56°, rel. 87, (1 0 0)
2θ = 23.23°, rel. 61, (2 0 0)
2θ = 25.97°, rel. 43, (2 1 0)
2θ = 26.69°, rel. 100, (1 0 -2)
2θ = 27.82°, rel. 87, (1 2 -1)
2θ = 32.09°, rel. 81, (1 0 2)
2θ = 33.36°, rel. 53, (2 2 -1)
2θ = 37.94°, rel. 38, (2 2 1)
2θ = 47.54°, rel. 39, (0 2 3)
2θ = 48.62°, rel. 39, (1 4 0)

Structural model:
```
data_RbPrSO
_cell_length_a 7.904
_cell_length_b 7.726
_cell_length_c 6.809
_cell_angle_alpha 90.00
_cell_angle_beta 104.32
_cell_angle_gamma 90.00
_symmetry_space_group_name_H-M 'P 1 21/c 1'
_symmetry_Int_Tables_number 14
loop_
_symmetry_equiv_pos_as_xyz
'x,y,z'
'-x,-y,-z'
'-x,y+1/2,-z+1/2'
'x,-y+1/2,z+1/2'
loop_
_atom_site_label
_atom_site_type_symbol
_atom_site_fract_x
_atom_site_fract_y
_atom_site_fract_z
Rb1 Rb 0.082 0.243 0.009
Pr1 Pr 0.469 0.627 0.269
S1 S 0.252 0.588 0.845
>>>

Result:
1